# 1
5
Lattice="6.5414 0.0000 0.0000 0.0000 6.5414 0.0000 0.0000 0.0000 5.0244" Properties=species:S:1:pos:R:3 comment="K2MgHgAs, relaxed, DFT PBE" e_form_mev_per_atom=-233 spacegroup="P4/mmm (123)" mass_density_g_cm3=2.9 magmom_total_mub_per_fu=0.00 pbc="T T T"
K 0.0000 3.2707 0.0000
K 3.2707 0.0000 0.0000
Mg 0.0000 0.0000 2.5122
Hg 3.2707 3.2707 2.5122
As 0.0000 0.0000 0.0000

# 2
5
Lattice="6.4431 0.0000 0.0000 0.0000 6.4431 0.0000 0.0000 0.0000 5.5626" Properties=species:S:1:pos:R:3 comment="K2NaHgAs, relaxed, DFT PBE" e_form_mev_per_atom=-239 spacegroup="P4/mmm (123)" mass_density_g_cm3=2.7 magmom_total_mub_per_fu=0.00 pbc="T T T"
K 0.0000 3.2215 0.0000
K 3.2215 0.0000 0.0000
Na 0.0000 0.0000 2.7813
Hg 3.2215 3.2215 2.7813
As 0.0000 0.0000 0.0000

# 3
8
Lattice="-3.2443 3.2443 3.6750 3.2443 -3.2443 3.6750 3.2443 3.2443 -3.6750" Properties=species:S:1:pos:R:3 comment="K2HgAsO4, relaxed, DFT PBE" spacegroup="I-4 (82)" raw_formation_energy_ev_per_atom=-1.260 mass_density_g_cm3=4.5 magmom_total_mub_per_fu=0.00 pbc="T T T"
K 0.0000 0.0000 0.0000
K 0.0000 3.2443 1.8375
Hg 0.0000 0.0000 3.6750
As 3.2443 0.0000 1.8375
O 1.0556 2.2753 -0.8476
O 4.2132 1.0556 0.8476
O 2.1887 0.9690 2.8274
O -0.9690 2.1887 4.5226

# 4
20
Lattice="6.4787 0.0000 0.0000 2.2075 7.3765 0.0000 2.4052 0.1323 7.4575" Properties=species:S:1:pos:R:3 comment="KHgAs2O6, relaxed, DFT PBE" spacegroup="P-1 (2)" raw_formation_energy_ev_per_atom=-1.096 mass_density_g_cm3=4.5 magmom_total_mub_per_fu=0.00 pbc="T T T"
K 2.7567 3.0084 1.0324
K 8.3346 4.5004 6.4251
Hg 5.0605 5.7823 5.3362
Hg 6.0308 1.7264 2.1213
As 3.6522 6.4539 1.5512
As 4.2409 2.0252 4.8839
As 6.8504 5.4835 2.5736
As 7.4391 1.0548 5.9062
O 2.1918 1.5833 4.7832
O 1.1764 0.7526 1.1507
O 4.3185 3.4346 5.8430
O 3.8126 5.4828 0.1814
O 5.1359 6.4072 2.5403
O 4.3470 2.4457 3.1768
O 6.7443 5.0631 4.2806
O 5.9554 1.1015 4.9171
O 7.2787 2.0260 7.2761
O 6.7728 4.0742 1.6145
O 9.9149 6.7561 6.3067
O 8.8995 5.9255 2.6743

Q: What is the formula in the second record?
A: K2NaHgAs

----------

Entry from Alexandria via LeMat-Bulk: a relaxed Y3Ir crystal (GGA-PBEsol).

Lattice parameters (Å, degrees): 4.0004 4.8078 5.0602 90.00 90.00 90.00
Element x y z (fractional)
Y  0.0000  0.0000  0.0000
Y  0.0000  0.5000  0.4899
Y  0.5000  0.5000  0.9593
Ir  0.5000  0.0000  0.5956

Results
calculated volume	24.33	Å³/atom
DOS(E_F)	2.4	states/eV/cell
SG	No. 25
formation enthalpy at 0 K	-18	kJ/mol of atoms

***

Entry from Alexandria via LeMat-Bulk: a relaxed CaYRe2 crystal (GGA-PBEsol).

Lattice parameters (Å, degrees): 2.9048 4.7872 6.1031 90.00 99.24 90.00
Element x y z (fractional)
Ca  0.0000  0.0000  0.0000
Y  0.5000  0.0000  0.5000
Re  0.1952  0.5000  0.6889
Re  0.8048  0.5000  0.3111

Results
calculated volume	20.94	Å³/atom
DOS(E_F)	4.2	states/eV/cell
SG	No. 10
formation enthalpy at 0 K	65	kJ/mol of atoms

Your job: retype everything further up unchanged.

# 1
5
Lattice="6.5414 0.0000 0.0000 0.0000 6.5414 0.0000 0.0000 0.0000 5.0244" Properties=species:S:1:pos:R:3 comment="K2MgHgAs, relaxed, DFT PBE" e_form_mev_per_atom=-233 spacegroup="P4/mmm (123)" mass_density_g_cm3=2.9 magmom_total_mub_per_fu=0.00 pbc="T T T"
K 0.0000 3.2707 0.0000
K 3.2707 0.0000 0.0000
Mg 0.0000 0.0000 2.5122
Hg 3.2707 3.2707 2.5122
As 0.0000 0.0000 0.0000

# 2
5
Lattice="6.4431 0.0000 0.0000 0.0000 6.4431 0.0000 0.0000 0.0000 5.5626" Properties=species:S:1:pos:R:3 comment="K2NaHgAs, relaxed, DFT PBE" e_form_mev_per_atom=-239 spacegroup="P4/mmm (123)" mass_density_g_cm3=2.7 magmom_total_mub_per_fu=0.00 pbc="T T T"
K 0.0000 3.2215 0.0000
K 3.2215 0.0000 0.0000
Na 0.0000 0.0000 2.7813
Hg 3.2215 3.2215 2.7813
As 0.0000 0.0000 0.0000

# 3
8
Lattice="-3.2443 3.2443 3.6750 3.2443 -3.2443 3.6750 3.2443 3.2443 -3.6750" Properties=species:S:1:pos:R:3 comment="K2HgAsO4, relaxed, DFT PBE" spacegroup="I-4 (82)" raw_formation_energy_ev_per_atom=-1.260 mass_density_g_cm3=4.5 magmom_total_mub_per_fu=0.00 pbc="T T T"
K 0.0000 0.0000 0.0000
K 0.0000 3.2443 1.8375
Hg 0.0000 0.0000 3.6750
As 3.2443 0.0000 1.8375
O 1.0556 2.2753 -0.8476
O 4.2132 1.0556 0.8476
O 2.1887 0.9690 2.8274
O -0.9690 2.1887 4.5226

# 4
20
Lattice="6.4787 0.0000 0.0000 2.2075 7.3765 0.0000 2.4052 0.1323 7.4575" Properties=species:S:1:pos:R:3 comment="KHgAs2O6, relaxed, DFT PBE" spacegroup="P-1 (2)" raw_formation_energy_ev_per_atom=-1.096 mass_density_g_cm3=4.5 magmom_total_mub_per_fu=0.00 pbc="T T T"
K 2.7567 3.0084 1.0324
K 8.3346 4.5004 6.4251
Hg 5.0605 5.7823 5.3362
Hg 6.0308 1.7264 2.1213
As 3.6522 6.4539 1.5512
As 4.2409 2.0252 4.8839
As 6.8504 5.4835 2.5736
As 7.4391 1.0548 5.9062
O 2.1918 1.5833 4.7832
O 1.1764 0.7526 1.1507
O 4.3185 3.4346 5.8430
O 3.8126 5.4828 0.1814
O 5.1359 6.4072 2.5403
O 4.3470 2.4457 3.1768
O 6.7443 5.0631 4.2806
O 5.9554 1.1015 4.9171
O 7.2787 2.0260 7.2761
O 6.7728 4.0742 1.6145
O 9.9149 6.7561 6.3067
O 8.8995 5.9255 2.6743

Q: What is the formula in the second record?
A: K2NaHgAs

----------

Entry from Alexandria via LeMat-Bulk: a relaxed Y3Ir crystal (GGA-PBEsol).

Lattice parameters (Å, degrees): 4.0004 4.8078 5.0602 90.00 90.00 90.00
Element x y z (fractional)
Y  0.0000  0.0000  0.0000
Y  0.0000  0.5000  0.4899
Y  0.5000  0.5000  0.9593
Ir  0.5000  0.0000  0.5956

Results
calculated volume	24.33	Å³/atom
DOS(E_F)	2.4	states/eV/cell
SG	No. 25
formation enthalpy at 0 K	-18	kJ/mol of atoms

***

Entry from Alexandria via LeMat-Bulk: a relaxed CaYRe2 crystal (GGA-PBEsol).

Lattice parameters (Å, degrees): 2.9048 4.7872 6.1031 90.00 99.24 90.00
Element x y z (fractional)
Ca  0.0000  0.0000  0.0000
Y  0.5000  0.0000  0.5000
Re  0.1952  0.5000  0.6889
Re  0.8048  0.5000  0.3111

Results
calculated volume	20.94	Å³/atom
DOS(E_F)	4.2	states/eV/cell
SG	No. 10
formation enthalpy at 0 K	65	kJ/mol of atoms